**Work order:**
Repeat every line underneath that contains the word "calculation".
**Material:**
+++
(1)
VASP calculation (PBE) on a geometry-optimized FeTe3 structure.

Results
The energy is -4.052 eV/atom. Its space-group type is Pm-3m, No. 221. The total moment is 3.2 μB/f.u. The value obtained for the uncorrected formation energy is 420 meV per atom.

```
FeTe3
1.0
5.187 0.000 0.000
0.000 5.187 0.000
0.000 0.000 5.187
Fe Te
1 3
Cartesian
0.000 0.000 0.000
2.593 0.000 0.000
0.000 2.593 0.000
0.000 0.000 2.593
```

***

(2)
VASP calculation (PBE) on a geometry-optimized FeTe3 structure.

Results
The energy is -4.350 eV/atom. Its space-group type is P6_3/mmc, No. 194. The total moment is 0.0 μB/f.u. The value obtained for the uncorrected formation energy is 122 meV per atom.

```
FeTe3
1.0
4.318 -7.478 0.000
4.318 7.478 0.000
0.000 0.000 3.610
Fe Te
2 6
Cartesian
4.318 -2.493 2.708
4.318 2.493 0.903
4.318 4.300 2.708
4.318 -4.300 0.903
5.883 1.589 2.708
2.753 -1.589 0.903
5.883 -1.589 0.903
2.753 1.589 2.708
```

***

(3)
VASP calculation (PBE) on a geometry-optimized FeTe2 structure.

Results
The energy is -4.428 eV/atom. Its space-group type is P6_3/mmc, No. 194. The total moment is 3.0 μB/f.u. The value obtained for the uncorrected formation energy is 487 meV per atom.

```
FeTe2
1.0
-1.715 0.440 -4.069
0.794 -4.043 1.648
-8.287 -0.214 3.471
Fe Te
2 4
Cartesian
-2.114 -2.602 0.610
-7.094 -1.215 0.440
0.000 0.000 0.000
-4.143 -0.107 1.735
-6.257 -2.709 2.345
-2.950 -1.108 -1.295
```

***

(4)
VASP calculation (PBE) on a geometry-optimized FeTe3 structure.

Results
The energy is -4.363 eV/atom. Its space-group type is Pnma, No. 62. The total moment is 0.0 μB/f.u. The value obtained for the uncorrected formation energy is 109 meV per atom.

```
FeTe3
1.0
-2.257 -5.438 -0.769
4.669 -2.389 3.188
-5.862 1.103 9.410
Te Fe
12 4
Cartesian
-4.329 -0.213 7.222
-1.016 -4.256 3.164
-2.435 -2.468 8.666
0.878 -6.511 4.608
-5.446 -3.232 8.791
0.088 -1.269 1.590
-1.840 -5.774 7.513
0.297 -3.172 5.765
1.995 -3.492 3.039
-3.538 -5.455 10.239
-1.610 -0.949 4.317
-3.747 -3.551 6.064
-1.168 -4.432 9.685
0.967 -1.280 4.051
-4.418 -5.443 7.779
-2.282 -2.292 2.145
```

***

(5)
VASP calculation (PBE) on a geometry-optimized FeTe2 structure.

Results
The energy is -4.698 eV/atom. Its space-group type is I4_1/amd, No. 141. The total moment is 2.1 μB/f.u. The value obtained for the uncorrected formation energy is 217 meV per atom.

```
FeTe2
1.0
-1.612 1.612 14.105
1.612 -1.612 14.105
1.612 1.612 -14.105
Fe Te
2 4
Cartesian
1.612 0.000 7.052
0.000 0.000 14.105
0.000 1.612 8.703
0.000 0.000 26.559
0.000 1.612 5.402
0.000 0.000 1.651
```

***

(6)
VASP calculation (PBE) on a geometry-optimized Fe3Te structure.

Results
The energy is -6.735 eV/atom. Its space-group type is P-6m2, No. 187. The total moment is 6.8 μB/f.u. The value obtained for the uncorrected formation energy is 398 meV per atom.

```
Fe3Te
1.0
-3.486 -1.186 1.052
3.085 -2.084 0.901
0.462 2.629 4.496
Fe Te
3 1
Cartesian
0.010 0.054 0.093
0.222 1.260 2.155
-1.180 -0.828 2.126
-0.949 0.486 4.374
```

***

(7)
VASP calculation (PBE) on a geometry-optimized FeTe7 structure.

Results
The energy is -3.200 eV/atom. Its space-group type is Fm-3m, No. 225. The total moment is 3.8 μB/f.u. The value obtained for the uncorrected formation energy is 606 meV per atom.

```
FeTe7
1.0
1.485 -5.690 -3.309
1.435 -5.625 3.438
-4.361 -5.149 0.017
Fe Te
1 7
Cartesian
0.000 0.000 0.000
1.460 -5.657 0.064
-1.438 -5.419 -1.646
0.742 -2.845 -1.654
-2.180 -2.574 0.009
0.718 -2.813 1.719
-1.463 -5.387 1.727
-0.720 -8.232 0.073
```

***

(8)
VASP calculation (PBE) on a geometry-optimized FeTe2 structure.

Results
The energy is -4.492 eV/atom. Its space-group type is P4/mmm, No. 123. The total moment is 2.6 μB/f.u. The value obtained for the uncorrected formation energy is 423 meV per atom.

```
FeTe2
1.0
4.660 0.000 0.000
0.000 4.660 0.000
0.000 0.000 3.369
Fe Te
1 2
Cartesian
0.000 0.000 0.000
0.000 2.330 1.685
2.330 0.000 1.685
```

***

(9)
VASP calculation (PBE) on a geometry-optimized FeTe2 structure.
+++
**Outcome:**
VASP calculation (PBE) on a geometry-optimized FeTe3 structure.
VASP calculation (PBE) on a geometry-optimized FeTe3 structure.
VASP calculation (PBE) on a geometry-optimized FeTe2 structure.
VASP calculation (PBE) on a geometry-optimized FeTe3 structure.
VASP calculation (PBE) on a geometry-optimized FeTe2 structure.
VASP calculation (PBE) on a geometry-optimized Fe3Te structure.
VASP calculation (PBE) on a geometry-optimized FeTe7 structure.
VASP calculation (PBE) on a geometry-optimized FeTe2 structure.
VASP calculation (PBE) on a geometry-optimized FeTe2 structure.